The actual Report produced by the out of State Law Firm must be released to the Public and uploaded onto EMMA.
## Next to the text, the page also holds data records
=====
No. 1
The following is a DFT calculation (the ωB97M-V functional and the def2-TZVPD basis) of a structure of composition C33H33IrN9O2P at a distorted geometry.

As for the HOMO energy (spin up / spin down): -15.50 / -16.86 eV. The value obtained for the LUMO energy (spin up / spin down) is -8.3 / -9.7 eV. Its expectation value of S² is 8.796. As for the net charge: +3. The frontier orbital gap (spin up / spin down) comes out at 7.1686 / 7.1821 eV. The value obtained for the energy above the lowest of the compared OMol25 structures with the same formula, charge and spin is 22.5 kJ/mol. Its spin multiplicity is 6.

Geometry (Å):
Ir -0.013 -0.252 0.732
N 3.615 -2.483 -0.821
C 2.667 -2.005 -0.029
N 1.586 -1.414 -0.465
C 1.395 -1.294 -1.840
N 0.269 -0.755 -2.284
N -0.634 -0.584 -1.388
C -1.540 0.528 -1.433
C -2.691 0.206 -0.493
C -3.996 0.610 -0.665
C -4.914 0.380 0.356
C -4.494 -0.260 1.509
C -3.167 -0.638 1.609
N -2.285 -0.401 0.639
C 2.423 -1.707 -2.749
C 2.347 -1.531 -4.136
C 3.384 -1.951 -4.937
C 4.510 -2.567 -4.379
C 4.605 -2.760 -3.015
C 3.565 -2.328 -2.204
H 4.408 -2.976 -0.432
H 2.813 -2.120 1.039
H -0.951 0.905 -3.433
H -4.315 1.108 -1.567
H -5.941 0.703 0.249
H -5.175 -0.453 2.326
H -2.806 -1.151 2.492
H 1.472 -1.060 -4.563
H 3.328 -1.810 -6.007
H 5.312 -2.897 -5.024
H 5.474 -3.242 -2.582
O -1.570 1.708 4.484
C -0.572 1.122 4.420
O -0.128 0.420 3.201
C 0.590 0.761 5.328
P 1.226 -0.182 3.894
C 1.055 -1.960 3.889
C 0.299 -2.526 2.855
C 0.124 -3.896 2.805
C 0.711 -4.700 3.778
C 1.480 -4.139 4.789
C 1.657 -2.766 4.854
C 2.663 0.482 3.074
C 2.547 1.287 1.938
C 3.693 1.818 1.371
C 4.937 1.562 1.935
C 5.050 0.748 3.057
C 3.914 0.204 3.631
H 0.315 0.210 6.227
H 1.184 1.630 5.616
H -0.184 -1.893 2.093
H -0.478 -4.338 2.023
H 0.561 -5.771 3.747
H 1.937 -4.775 5.535
H 2.245 -2.331 5.654
H 1.575 1.564 1.526
H 3.613 2.461 0.504
H 5.824 2.012 1.509
H 6.021 0.543 3.488
H 3.995 -0.426 4.511
C -4.997 2.319 -4.135
C -4.162 3.538 -3.751
C -4.548 4.153 -2.411
C -2.634 3.274 -3.839
N -2.037 2.547 -2.730
C -1.826 1.110 -2.809
N -0.739 1.498 -0.605
N -0.834 2.756 -0.813
N -1.528 3.288 -1.772
H -6.053 2.590 -4.137
H -4.883 1.473 -3.454
H -4.749 1.975 -5.140
H -4.330 4.288 -4.527
H -4.378 3.474 -1.572
H -5.605 4.420 -2.417
H -3.978 5.064 -2.224
H -2.139 4.242 -3.872
H -2.425 2.728 -4.760
H -2.689 0.631 -3.273



No. 2
The following is a DFT calculation (the ωB97M-V functional and the def2-TZVPD basis) of the molecule C4H6O2 at a distorted geometry.

As for the HOMO energy: -10.04 eV. The value obtained for the LUMO energy is 0.7 eV. As for the net charge: 0. The frontier orbital gap comes out at 10.7776 eV. The value obtained for the energy above the lowest of the compared OMol25 structures with the same formula, charge and spin is 182.2 kJ/mol.

Geometry (Å):
C 1.484 -0.249 0.141
C 0.015 -0.212 0.380
C -0.830 1.024 0.209
O -1.884 0.225 -0.363
C -1.027 -0.887 -0.868
O -1.437 -1.722 -1.628
H 2.053 0.208 0.955
H 1.759 -1.300 0.052
H 1.707 0.271 -0.794
=====
The S.E.C. Issued a Cease and Desist Order requiring the City of Beaumont to properly account for the bond funds, re-file government documents that were forged, and hire an Independent Consultant to verify that the City had complied with the SEC Order.
The Report was due to the S.E.C. by February 20, 2018, and required to be filed on EMMA on all of the City’s outstanding Bonds within 10 business days. The Report has not been filed with EMMA and what was turned in to the S.E.C. is unknown to the Public.
11/07/2017: Beaumont City Council Authorized Executive Director to Enter into a Contract with Bradley Arant Boult Cummings L.L.P (Badley) to Serve as Independent Consultant as Required Pursuant to SEC Settlement:
This was never a job for a lawyer and the lawyers hired were not licensed to practice law in the State of California. When confronted at the March 6, 2018, City Council Meeting about hiring out of State lawyers Brian Forebath from the Law Firm of Stradling Yocca stated: “You didn’t have to hire a lawyer.” And it’s true – it was never a job for a lawyer, but the City hired a lawyer and when a lawyer is hired they must be licensed to practice law in that State.
On February 20, 2018, Beaumont City Council ‘Approved’ three pages of random papers that Beaumont City Manager Todd Parton admitted was not the SEC Report. City Attorney John Pinkney told the Council that they ‘had to’ approve the random papers because it was the SEC deadline:…
On March 6, 2018, City Council Agenda Item 9, ‘Council Approved’ another ‘Report’ that had no letterhead or signature:
The City usually uploads the video of the Council Meetings onto Youtube within a week and includes the Minutes on the next Council Meeting Agenda, but neither the video nor Minutes to the Meeting have been released. The Youtube Video has now been released.
Bond Counsel Brian Forebath did all the talking, City Attorney John Pinkney didn’t say a word. Forebath made a lot of excused, but admitted that the Report was sent to Pinkney.
It is highly suspected that Pinkney altered the Report produced by the out of State Law Firm. That “CONFIDENTIAL TREATMENT REQUESTED BY CITY OF BEAUMONT” is Pinkney’s signature. Everything Pinkney knows about the law he learned from watching John Belushi movies.
The actual Report produced by the out of State Law Firm must be released to the Public and uploaded onto EMMA.
Beaumont City Council Transcript March 6, 2018:
Forebath: The independent consultant was interviewed by the SEC, they talked to them on the phone extensively
Martinez: Looking at the Report I do have to admit it does look like a generic Report. Is this the way we received the Report?
Forebath: Yea, yea. There’s no requirement of format from the Report, it was just an independent consultant’s report and this is the format it came in. It’s been sent to the SEC.
Martinez: Is that typical for a report to be in this format?
Forebath: I’ll be honest; I don’t think we’ve seen very many of these independent consultant reports. This is sort of a new requirement from the SEC, especially from a municipal standpoint, the municipal field. I don’t know if there’s a clear process for it one way or another. But none the less it’s been sent.
White: Who submitted the Report to the SEC? Was it the independent consultant?
Forebath: The independent consultant submitted the report to Mr. Pinkney’s Office. They cc’d us and we submitted the Report on behalf of the Beaumont Financing Authority to the SEC pursuant to the request on the Report.
_Between two parts of the page: data records_
- - -
A 10-piece molecular cluster, C15H50N6O10 overall in a non-equilibrium geometry, computed with ωB97M-V/def2-TZVPD.

Computed properties:
LUMO level in Eh: -0.0036
E in eV: -45776.6148
Energy relative to the best compared isomer or geometry (same formula, charge and spin) in kcal per mole: 184.8
HOMO-LUMO gap in eV: 8.415
SMILES: NC(N)=O.NC(N)=O.NC(N)=O.CCO.CCO.CCO.CCO.CCO.CO.CO
Molecular weight in g/mol: 474.60

CARTESIAN COORDINATES (ANGSTROEM)
N  -0.07889  2.78392  3.14030
C  -1.02661  2.33558  2.41883
N  -1.09994  2.93387  1.29203
O  -1.95966  1.33844  2.89085
H  -0.03727  2.37624  4.11596
H  0.41446  3.65264  2.99183
H  -1.85767  2.64313  0.69337
H  -0.55597  3.74989  0.95497
N  -3.58623  3.33036  -2.32303
C  -3.62617  2.15073  -1.71345
N  -4.50265  1.32437  -2.29161
O  -2.98542  1.93952  -0.56346
H  -2.88226  3.84673  -1.75610
H  -3.38358  3.46980  -3.31654
H  -4.76106  0.43149  -1.77086
H  -5.11702  1.43808  -3.15030
N  2.35485  -0.06290  4.49827
C  1.60659  -0.19274  3.46805
N  2.02754  0.47996  2.46205
O  0.30806  -0.86038  3.45767
H  2.11448  -0.63967  5.34077
H  3.08285  0.68412  4.61606
H  1.32747  0.54575  1.71535
H  2.68884  1.25785  2.55156
C  3.76133  1.76393  -0.58072
C  2.95669  3.07542  -0.64003
O  3.30643  3.76639  0.52881
H  3.46503  1.04753  -1.40284
H  3.51980  1.17112  0.31879
H  4.78652  2.03721  -0.74658
H  1.92824  2.92069  -0.73101
H  3.23646  3.55873  -1.56257
H  3.06363  4.70364  0.41316
C  -0.15191  2.68740  -2.44632
C  0.13111  1.24039  -2.90428
O  1.32937  0.87011  -2.44181
H  0.65492  3.36549  -2.69233
H  -0.29070  2.84060  -1.41504
H  -1.04773  3.10986  -2.94177
H  0.04874  1.10345  -3.98657
H  -0.56472  0.47653  -2.50397
H  1.21478  0.69257  -1.47635
C  2.34149  -2.50755  -1.22002
C  3.76531  -2.32236  -1.77860
O  4.35382  -1.16790  -1.28171
H  2.00505  -1.85333  -0.32655
H  2.05279  -3.49356  -0.87241
H  1.74653  -2.27337  -2.05357
H  3.67740  -2.23083  -2.87597
H  4.38991  -3.19142  -1.68087
H  5.15804  -0.87670  -1.76080
C  -3.03177  -2.96808  1.38494
C  -3.41698  -1.47953  1.77835
O  -2.81307  -1.31494  2.98220
H  -1.94296  -3.05304  1.37055
H  -3.59001  -3.29285  0.53414
H  -3.30518  -3.57904  2.24901
H  -4.51547  -1.34725  1.84291
H  -3.10149  -0.75970  1.06738
H  -2.64939  -0.38970  3.04058
C  -2.44629  -1.88383  -2.16811
C  -1.14405  -2.44961  -2.78817
O  -1.10723  -3.89412  -2.76605
H  -2.62730  -2.20753  -1.21654
H  -3.35118  -2.29867  -2.74395
H  -2.57663  -0.78058  -2.12798
H  -0.28477  -2.00391  -2.19624
H  -1.07847  -2.15975  -3.83988
H  -0.93191  -4.21055  -1.84846
C  -0.47451  -0.37718  0.33247
O  0.43368  0.66720  0.08967
H  -1.40835  -0.15708  -0.21233
H  -0.69284  -0.54241  1.41561
H  -0.18853  -1.32494  0.00390
H  0.25500  1.51100  0.59771
C  1.47201  -3.79216  2.39449
O  0.28596  -3.08860  1.86937
H  1.84738  -4.36448  1.66882
H  1.01715  -4.38862  3.23345
H  2.13394  -3.07386  2.80742
H  -0.06981  -2.46702  2.58409

=====

120
- - -
_End of the data records_
White: So it was not submitted by the City.
Forebath: The approval tonight will be for us to prepare the required certification and then the authorization from the mayor to sign it, the chair.